Wednesday, December 13, 2023

Biden and Netanyahu

The Prime Minister and the President (Jerusalem Post)
I can hear all the ‘I told you sos’ already. My praise of the President’s strong support for Israel’s war against Hamas was premature, they might say.

I reject any potential such criticism in totality. My praise and gratitude for the President stands  He has not waivered at all in his support. What he has said is that Israel could lose the world support if Israel doesn’t stop on their ‘indiscriminate’ bombing in Gaza  that has resulted in so many ‘innocent’ civilian casualties. 

As I have said many times, I completely disagree that the bombing is indiscriminate (for reasons that are beyond the scope of this post).  Unfortunately, the optics say otherwise. And Biden’s warning should not be taken lightly. The sad reality is that, aside from the US, Israel has long been the object of world condemnation. All one need do is look at the history of Israel bashing at the UN.

********
First-principles (meta-GGA SCAN) data for Ca3HgS at its PBEsol-relaxed geometry, as listed in Alexandria via LeMat-Bulk.

Values from the calculation:
* E: -21.727 eV per atom
* density of states at the Fermi level: 3.33 states/eV per cell

```
data_Ca3HgS
_cell_length_a 5.6091
_cell_length_b 5.6091
_cell_length_c 5.6091
_cell_angle_alpha 90.00
_cell_angle_beta 90.00
_cell_angle_gamma 90.00
_symmetry_space_group_name_H-M 'P m -3 m'
_symmetry_Int_Tables_number 221
_symmetry_space_group_name_Hall '-P 4 2 3'
loop_
_atom_site_label
_atom_site_type_symbol
_atom_site_fract_x
_atom_site_fract_y
_atom_site_fract_z
Ca1 Ca 0.0000 0.0000 0.5000
Hg1 Hg 0.0000 0.0000 0.0000
S1 S 0.5000 0.5000 0.5000
```

First-principles (meta-GGA SCAN) data for CaHgS2 at its PBEsol-relaxed geometry, as listed in Alexandria via LeMat-Bulk.

Values from the calculation:
* E: -25.381 eV per atom
* density of states at the Fermi level: 0.00 states/eV per cell

```
data_CaHgS2
_cell_length_a 6.0377
_cell_length_b 6.0377
_cell_length_c 12.1521
_cell_angle_alpha 90.00
_cell_angle_beta 90.00
_cell_angle_gamma 90.00
_symmetry_space_group_name_H-M 'I -4 2 d'
_symmetry_Int_Tables_number 122
_symmetry_space_group_name_Hall 'I -4 2bw'
loop_
_atom_site_label
_atom_site_type_symbol
_atom_site_fract_x
_atom_site_fract_y
_atom_site_fract_z
Ca1 Ca 0.0000 0.0000 0.0000
Hg1 Hg 0.0000 0.0000 0.5000
S1 S 0.2304 0.2500 0.6250
```

First-principles (meta-GGA SCAN) data for CaHgS2 at its PBEsol-relaxed geometry, as listed in Alexandria via LeMat-Bulk.

Values from the calculation:
* E: -25.519 eV per atom
* density of states at the Fermi level: 0.00 states/eV per cell

```
data_CaHgS2
_cell_length_a 4.2880
_cell_length_b 4.2880
_cell_length_c 21.8332
_cell_angle_alpha 90.00
_cell_angle_beta 90.00
_cell_angle_gamma 120.00
_symmetry_space_group_name_H-M 'R -3 m'
_symmetry_Int_Tables_number 166
_symmetry_space_group_name_Hall '-R 3 2"'
loop_
_atom_site_label
_atom_site_type_symbol
_atom_site_fract_x
_atom_site_fract_y
_atom_site_fract_z
Ca1 Ca 0.0000 0.0000 0.0000
Hg1 Hg 0.0000 0.0000 0.5000
S1 S 0.0000 0.0000 0.3945
```

First-principles (meta-GGA SCAN) data for CaHgSb2 at its PBEsol-relaxed geometry, as listed in Alexandria via LeMat-Bulk.

Values from the calculation:
* E: -38.554 eV per atom
* density of states at the Fermi level: 1.75 states/eV per cell

```
data_CaHgSb2
_cell_length_a 4.5649
_cell_length_b 4.5649
_cell_length_c 4.9127
_cell_angle_alpha 90.00
_cell_angle_beta 90.00
_cell_angle_gamma 90.00
_symmetry_space_group_name_H-M 'P 4/m m m'
_symmetry_Int_Tables_number 123
_symmetry_space_group_name_Hall '-P 4 2'
loop_
_atom_site_label
_atom_site_type_symbol
_atom_site_fract_x
_atom_site_fract_y
_atom_site_fract_z
Ca1 Ca 0.0000 0.0000 0.0000
Hg1 Hg 0.5000 0.5000 0.0000
Sb1 Sb 0.0000 0.5000 0.5000
```

First-principles (meta-GGA SCAN) data for CaHgSb2 at its PBEsol-relaxed geometry, as listed in Alexandria via LeMat-Bulk.

Values from the calculation:
* E: -38.505 eV per atom
********

It doesn’t really take much for the rest of the world to forget or ignore what precipitated this war and resume their anti Israel narrative. It won’t be long before there will be yet another attempt at a Security Council resolution condemning Israel instead of condemning Hamas.  

Records of crystals, as found in the file.
┌──
No. 1
! PBE MgHgTe2, optimized geometry; values from VASP
&SYSTEM
  ibrav = 0, nat = 8, ntyp = 3
/
ATOMIC_SPECIES
Mg 24.30 Mg.upf
Hg 200.59 Hg.upf
Te 127.60 Te.upf
CELL_PARAMETERS angstrom
8.160 0.000 0.000
0.000 4.425 0.000
-1.459 0.000 8.017
ATOMIC_POSITIONS crystal
Mg 0.000 0.000 0.000
Mg 0.500 0.500 0.000
Hg 0.000 0.500 0.500
Hg 0.500 0.000 0.500
Te 0.139 0.500 0.824
Te 0.361 0.000 0.176
Te 0.639 0.000 0.824
Te 0.861 0.500 0.176
! polymorph energy (0 for the lowest one): 38 kJ/mol of formula units
! calculated total energy: -2.459 eV/atom
! formation energy (no corrections): -40.0 kJ/mol of atoms
! space-group type: C2/m, No. 12
! N(E_F): 0.03 states/eV/f.u.

***

No. 2
! PBE MgHgTe2, optimized geometry; values from VASP
&SYSTEM
  ibrav = 0, nat = 16, ntyp = 3
/
ATOMIC_SPECIES
Mg 24.30 Mg.upf
Hg 200.59 Hg.upf
Te 127.60 Te.upf
CELL_PARAMETERS angstrom
8.087 0.000 0.000
0.000 4.402 0.000
0.000 0.000 15.284
ATOMIC_POSITIONS crystal
Mg 0.067 0.250 0.072
Mg 0.433 0.750 0.572
Mg 0.567 0.250 0.428
Mg 0.933 0.750 0.928
Hg 0.189 0.250 0.705
Hg 0.311 0.750 0.205
Hg 0.689 0.250 0.795
Hg 0.811 0.750 0.295
Te 0.046 0.250 0.256
Te 0.247 0.250 0.511
Te 0.253 0.750 0.011
Te 0.454 0.750 0.756
Te 0.546 0.250 0.244
Te 0.747 0.250 0.989
Te 0.753 0.750 0.489
Te 0.954 0.750 0.744
! polymorph energy (0 for the lowest one): 56 kJ/mol of formula units
! calculated total energy: -2.413 eV/atom
! formation energy (no corrections): -35.5 kJ/mol of atoms
! space-group type: Pnma, No. 62
! N(E_F): 0.51 states/eV/f.u.

***

No. 3
! PBE MgHgTe2, optimized geometry; values from VASP
&SYSTEM
  ibrav = 0, nat = 4, ntyp = 3
/
ATOMIC_SPECIES
Mg 24.30 Mg.upf
Hg 200.59 Hg.upf
Te 127.60 Te.upf
CELL_PARAMETERS angstrom
4.473 0.000 0.000
-2.236 3.874 0.000
0.000 0.000 7.400
ATOMIC_POSITIONS crystal
Mg 0.000 0.000 0.000
Hg 0.333 0.667 0.467
Te 0.333 0.667 0.842
Te 0.667 0.333 0.274
! polymorph energy (0 for the lowest one): 30 kJ/mol of formula units
! calculated total energy: -2.480 eV/atom
! formation energy (no corrections): -41.9 kJ/mol of atoms
! space-group type: P3m1, No. 156
! N(E_F): 0.00 states/eV/f.u.

***

No. 4
! PBE MgHgTe2, optimized geometry; values from VASP
&SYSTEM
  ibrav = 0, nat = 16, ntyp = 3
/
ATOMIC_SPECIES
Mg 24.30 Mg.upf
Hg 200.59 Hg.upf
Te 127.60 Te.upf
CELL_PARAMETERS angstrom
7.533 0.000 0.000
0.000 7.533 0.000
0.000 0.000 7.533
ATOMIC_POSITIONS crystal
Mg 0.000 0.000 0.000
Mg 0.000 0.500 0.500
Mg 0.500 0.000 0.500
Mg 0.500 0.500 0.000
Hg 0.000 0.000 0.500
Hg 0.000 0.500 0.000
Hg 0.500 0.000 0.000
Hg 0.500 0.500 0.500
Te 0.250 0.250 0.250
Te 0.250 0.250 0.750
Te 0.250 0.750 0.250
Te 0.250 0.750 0.750
Te 0.750 0.250 0.250
Te 0.750 0.250 0.750
Te 0.750 0.750 0.250
Te 0.750 0.750 0.750
! polymorph energy (0 for the lowest one): 185 kJ/mol of formula units
! calculated total energy: -2.078 eV/atom
! formation energy (no corrections): -3.2 kJ/mol of atoms
! space-group type: Fm-3m, No. 225
! N(E_F): 3.67 states/eV/f.u.

***
└──

The President also criticized Netanyahu for not pursuing the 2 state solution as well as rejecting Biden’s call for the PA to rule Gaza after the war.

As I have said many times - although in theory I would agree with a 2 state solution, in practice this is an impossibility. It would be a mistake of epic proportion to create a Palestinian state that would be led by a Holocaust denier who aggrandizes and financially rewards the families of terrorists that have murdered or attempted to murder Jews. Calling them martyrs and even naming streets after them! How anyone in their right mind would hand over territory to a people like that - defies logic. Clearly Netanyahu is right and Biden is wrong about that.

A word about criticizing Netanyahu. I find it appalling that the leader of Israel is being bashed by Jews at a time of its existential war with a savage enemy. 

First of all, with respect to the conduct of the war, Netanyahu is not running the war any differently than his political opponents would. The simple fact is that his war cabinet includes his chief political rival, former Army Chief of Staff Benny Gantz. I also doubt that Netanyahu’s conduct of the war defies the best advice of his military/intelligence experts.

Netanyahu is so hated by his critics that their bias against him blinds them to that reality.  It’s true that the buck stops with the prime minister. But he isn’t making his decisions in a vacuum.

I know all about the issues his critics have with him. Which includes accusations that he is corrupt; immoral; a liar; a man that breaks his promises even to his own colleagues in order to gain political advantage; a man that has alienated his supporters, insulted an American president; is an egotist who places himself above the law and ahead of the welfare of his country, a crook who has taken bribes in exchange for favorable legislation... He has even been compared to Donald Trump as a self serving narcissist that would sell his soul to the devil for his own material benefit. I also realize that not all of his critics are on the left. Most are. But he has made plenty of enemies even within his own party. 

I might even agree with some of those criticisms. But the one thing I am certain of is that Netanyahu is a patriot. Who has served his country well as the longest serving prime minster in Israel’s history. Which would have been impossible without his party getting a plurality of the electoral vote in every one of his elections.  

____________
Below is a relaxed Rb4Ce3PtS8 crystal, with properties calculated at the PBE level.

Geometry as POSCAR:
```
Rb4Ce3PtS8
1.0
-1.8243 -7.6618 -1.5016
2.0100 -2.1301 8.4265
-6.0829 5.8366 -0.9846
S Pt Rb Ce
8 1 4 3
Cartesian
-2.6209 -4.4207 4.3346
-4.7757 2.6571 4.3869
-0.0866 -2.2662 2.4052
-3.2763 0.4654 1.6057
-5.8106 -1.6891 3.5351
-1.1215 -6.6124 1.5534
-2.3821 -0.4449 5.1641
-3.5151 -3.5104 0.7762
1.0050 -1.0650 4.2132
-3.9536 -0.9126 -1.2431
-0.9122 -3.8309 -0.7508
0.0000 0.0000 0.0000
-3.0414 2.9183 -0.4923
0.0928 -4.8959 3.4624
-2.9486 -1.9777 2.9702
-2.0365 1.8533 3.7210
```

Density, Mg/m³: 4.3
Total magnetization, Bohr magnetons per cell: 2.02
DFT total energy, eV/atom: -5.24



Below is a relaxed Sn2BiTe crystal, with properties calculated at the PBE level.

Geometry as POSCAR:
```
Sn2BiTe
1.0
0.0000 3.8791 3.8791
3.8791 0.0000 3.8791
3.8791 3.8791 0.0000
Sn Bi Te
2 1 1
Cartesian
5.8186 5.8186 5.8186
1.9395 1.9395 1.9395
3.8791 3.8791 3.8791
0.0000 0.0000 0.0000
```

Density, Mg/m³: 8.2
Total magnetization, Bohr magnetons per cell: 0.00
DFT total energy, eV/atom: -3.69



Below is a relaxed NbAsSeN2 crystal, with properties calculated at the PBE level.

Geometry as POSCAR:
```
NbAsSeN2
1.0
3.8292 0.0000 0.0000
0.0000 3.8292 0.0000
0.0000 0.0000 5.0484
As Se N Nb
1 1 2 1
Cartesian
0.0000 0.0000 0.0000
0.0000 0.0000 2.5242
1.9146 0.0000 0.0000
0.0000 1.9146 0.0000
1.9146 1.9146 2.5242
```

Density, Mg/m³: 6.2
Total magnetization, Bohr magnetons per cell: 1.56
DFT total energy, eV/atom: -5.71



Below is a relaxed AlSiPt2 crystal, with properties calculated at the PBE level.

Geometry as POSCAR:
```
AlSiPt2
1.0
2.9769 0.0000 0.0000
0.0000 3.1398 0.0036
0.0000 1.3835 6.7273
Pt Si Al
2 1 1
Cartesian
0.0000 1.7555 3.5598
0.0000 1.8897 6.5330
1.4884 1.1308 1.6827
1.4884 3.3925 5.0482
```

Density, Mg/m³: 11.8
Total magnetization, Bohr magnetons per cell: 0.00
DFT total energy, eV/atom: -5.92



Below is a relaxed Ge2BiRu4 crystal, with properties calculated at the PBE level.

Geometry as POSCAR:
```
Ge2BiRu4
1.0
4.9109 0.0000 0.0000
0.0000 4.9109 0.0000
2.4555 2.4555 6.2611
Ru Bi Ge
4 1 2
Cartesian
2.4555 2.4555 3.6133
2.4555 0.0000 0.0000
0.0000 2.4555 0.0000
4.9109 4.9109 2.6478
0.0000 0.0000 0.0000
4.9109 4.9109 4.9686
2.4555 2.4555 1.2925
```

Energy relative to the elements, eV per atom: 1.385
Density, Mg/m³: 8.3
Total magnetization, Bohr magnetons per cell: 1.93



Below is a relaxed TbPm10Pr4 crystal, with properties calculated at the PBE level.

Geometry as POSCAR:
```
TbPm10Pr4
1.0
-5.5218 -9.0603 -1.0453
3.2097 -8.2331 0.0332
-3.5962 -4.8276 6.4690
Pr Pm Tb
4 10 1
Cartesian
0.6765 -6.8819 1.7033
-6.5848 -15.2391 3.7536
-1.6733 -11.9474 3.6496
-4.2350 -10.1736 1.8073
-4.3346 -13.3256 2.4671
-4.3111 -18.6159 3.5075
-1.5737 -8.7954 2.9898
-1.5971 -3.5051 1.9494
-2.5335 -15.6991 3.8440
-3.3748 -6.4219 1.6129
-0.6626 -10.1386 0.1368
-3.4681 -9.0656 5.6566
____________
(Back to the article)

For all I know he could be the most hated man in Israel right now.(Although I doubt it.)  I know that polls currently show that he has lost the support of the vast majority of his own people. This may very well be Netanyahu’s ‘last ’hurrah’… his final term in office as prime minister. 

But whatever the case may be, he is the duly elected prime minister of Israel. So it doesn’t really matter that the tide has turned against him. What matters is that Netanyahu is the sitting prime minister and ought not be bashed at a time of existential war. A war he is running with the advice and consent of a war cabinet that includes strong political opponents. Some of whom hate him so much they think he is the devil incarnate. But tearing down Israel’s leader at a time of war is both wrong, dangerous, and stupid. It ought to stop right now. At least until after the war.